Data
~~~
For Hg2Bi2Se5, a cell relaxed with PBE gives the simulated X-ray diffraction stick pattern in this record (copper Kα).

```
data_Hg2Bi2Se5
_chemical_formula_sum 'Hg6 Bi6 Se15'
_symmetry_space_group_name_H-M 'R 3 m'
_symmetry_Int_Tables_number 160
_symmetry_space_group_name_Hall 'R 3 -2"'
_cell_length_a 4.4434
_cell_length_b 4.4434
_cell_length_c 51.5275
_cell_angle_alpha 90.00
_cell_angle_beta 90.00
_cell_angle_gamma 120.00
loop_
_atom_site_label
_atom_site_type_symbol
_atom_site_fract_x
_atom_site_fract_y
_atom_site_fract_z
_atom_site_occupancy
Hg1 Hg 0.0000 0.0000 0.0000 1
Hg2 Hg 0.0000 0.0000 0.1680 1
Bi1 Bi 0.0000 0.0000 0.5828 1
Bi2 Bi 0.0000 0.0000 0.7581 1
Se1 Se 0.0000 0.0000 0.0681 1
Se2 Se 0.0000 0.0000 0.2188 1
Se3 Se 0.0000 0.0000 0.6834 1
Se4 Se 0.0000 0.0000 0.8145 1
Se5 Se 0.0000 0.0000 0.9450 1
```

The 8 most intense peaks (2θ = 10–90°), in order of rising 2θ:
hkl, d_spacing, 2θ (°), I (rel.)
0 0 12, 4.294, 20.69, 54
1 0 1, 3.837, 23.18, 28
0 1 2, 3.806, 23.37, 31
0 1 5, 3.605, 24.70, 83
1 0 10, 3.083, 28.96, 26
0 1 17, 2.381, 37.78, 52
1 1 0, 2.221, 40.63, 100
1 1 12, 1.973, 45.99, 42
~~~

Assignment
It remains to search the rows earlier on for the word "peaks" and write out each line that has it.

Reply
The 8 most intense peaks (2θ = 10–90°), in order of rising 2θ: